BNHR Membership Establish Priorities, Confirm Leadership in Vote of Confidence during Annual General Assembly feat. Congresswoman Veronica Escobar
EL PASO – On Sat., Feb. 27, 2021, the Border Network for Human Rights (BNHR) convened and estimated 70 community delegates from the border region spanning across Texas and New Mexico in the annual General Member Assembly to reflect on the organization’s work over the past year during the ongoing coronavirus pandemic, and assess opportunities and challenges in 2021.
The Spanish-language convening coincided with BNHR’s 22nd anniversary of advocating and serving border communities and included an opening session live-streamed to the BNHR Facebook page featuring remarks from Congresswoman Veronica Escobar; Texas State Senator César Blanco; Texas State Representative Mary González; Former Texas State Senator José Rodríguez; El Paso County Commissioners David Stout and Ileana Holguín; and El Paso City Representatives Peter Svarzbein and Alexsandra Annello. The event also included the participation of representatives from diverse social justice advocates at the local, state, and national levels, including the Border Women’s Project; Border Agricultural Workers Center; El Paso Grassroots, Paso del Sur; Peace and Justice Ministry of the Catholic Diocese of El Paso; The El Paso Chapter, The Links, Incorporated; ARISE Adelante; La Unión del Pueblo Entero (LUPE); Albuquerque Center for Peace and Justice; and UnidosUS.
Data records from another source follow:
____________
Entry a
{"formula": "Ba3Y2Cl12", "functional": "PBE", "state": "relaxed", "cell": [[-11.011, -2.011, 5.297], [5.683, -7.178, 9.089], [7.266, 3.583, 16.463]], "species": ["Y", "Ba", "Cl", "Y", "Cl", "Cl", "Ba", "Cl", "Cl", "Y", "Cl", "Cl", "Y", "Y", "Cl", "Cl", "Y", "Cl", "Ba", "Cl", "Cl", "Cl", "Cl", "Ba", "Ba", "Cl", "Cl", "Ba", "Cl", "Cl", "Cl", "Cl", "Cl", "Cl", "Ba", "Cl", "Cl", "Cl", "Cl", "Cl", "Cl", "Ba", "Cl", "Ba", "Cl", "Cl", "Cl", "Cl", "Ba", "Cl", "Cl", "Cl", "Cl", "Cl", "Cl", "Cl", "Cl", "Cl", "Cl", "Cl", "Cl", "Cl", "Cl", "Ba", "Ba", "Y", "Cl", "Y"], "frac_coords": [[0.647, 0.267, 0.425], [0.217, 0.225, 0.799], [0.952, 0.754, 0.650], [0.835, 0.957, 0.852], [0.203, 0.881, 0.433], [0.483, 0.641, 0.721], [0.283, 0.225, 0.299], [0.133, 0.014, 0.704], [0.071, 0.581, 0.040], [0.665, 0.957, 0.352], [0.429, 0.581, 0.540], [0.256, 0.903, 0.598], [0.165, 0.043, 0.148], [0.335, 0.043, 0.648], [0.796, 0.447, 0.296], [0.296, 0.553, 0.204], [0.853, 0.267, 0.925], [0.744, 0.097, 0.402], [0.008, 0.325, 0.481], [0.775, 0.721, 0.040], [0.638, 0.571, 0.929], [0.704, 0.447, 0.796], [0.862, 0.571, 0.429], [0.992, 0.675, 0.519], [0.508, 0.675, 0.019], [0.017, 0.641, 0.221], [0.475, 0.964, 0.424], [0.111, 0.677, 0.810], [0.608, 0.800, 0.318], [0.867, 0.986, 0.296], [0.452, 0.246, 0.850], [0.048, 0.246, 0.350], [0.725, 0.721, 0.540], [0.983, 0.359, 0.779], [0.492, 0.325, 0.981], [0.392, 0.200, 0.682], [0.618, 0.220, 0.184], [0.797, 0.119, 0.567], [0.892, 0.800, 0.818], [0.975, 0.036, 0.076], [0.025, 0.964, 0.924], [0.783, 0.775, 0.201], [0.244, 0.903, 0.098], [0.889, 0.323, 0.190], [0.571, 0.419, 0.460], [0.204, 0.553, 0.704], [0.118, 0.780, 0.316], [0.362, 0.429, 0.071], [0.717, 0.775, 0.701], [0.525, 0.036, 0.576], [0.548, 0.754, 0.150], [0.633, 0.986, 0.796], [0.703, 0.119, 0.067], [0.108, 0.200, 0.182], [0.929, 0.419, 0.960], [0.367, 0.014, 0.204], [0.382, 0.780, 0.816], [0.225, 0.279, 0.960], [0.882, 0.220, 0.684], [0.275, 0.279, 0.460], [0.756, 0.097, 0.902], [0.517, 0.359, 0.279], [0.297, 0.881, 0.933], [0.611, 0.323, 0.690], [0.389, 0.677, 0.310], [0.353, 0.733, 0.575], [0.138, 0.429, 0.571], [0.147, 0.733, 0.075]], "magnetic_moment_mub_per_cell": 0.000}

***

Entry b
____________
Here the text continues:
“I want to thank all of you for your incredible work – not just your work that you have done this past year, but the work you have done over two decades. Your work has paid off tremendously,” said Congresswoman Escobar in her live remarks. She went on to discuss the immigration reform bill that would provide a pathway to lawful status for the 11 million undocumented in the U.S., and is anticipated to be brought to the House floor for a vote the week of Mar. 8, and call on viewers to help push for the legislation’s passage by contacting their representatives in Congress when the bill is put to a vote in the House and Senate. “We are not going to stop the work we are doing until we have created a government, laws, and processes that recognize the dignity of every human being(…)We are on the brink of achieving what we have been working on for a very long time.” Hear the full remarks from Congresswoman Verónica Escobar in Spanish and English beginning at the 23:00 minute mark of the Facebook Livestream.
Bishop Mark Seitz also offered remarks in Spanish during the assembly thanking BNHR members for their “commitment and dedication, in particular, to those who do not have a voice in our community” and for “your efforts to reform immigration laws [and] work with the police so that they can actually serve our community.” The Bishop went on to reflect on the future, stating, “We will work together in the coming year with all parts of our community so that all are represented [and we can show everyone] what justice is, and what the road to peace is.”
During the private portion of the assembly hosted via Zoom, BNHR members collectively defined priorities for 2021 and evaluated the organization’s work, culminating in a unanimous vote of confidence in BNHR leadership, and the election and confirmation of Susie Byrd, former district director for Rep. Escobar, and Pastor Michael E. Grady, founder of the Prince of Peace Christian Fellowship Church and religious advisor to the NAACP, as the newest members of the Board of Directors, in addition to the re-election of Board Member Josh Bernstein.
Additionally, the BNHR members selected eight other community members to serve on the Board representing BNHR organizing regions and elected Rogelio Nunez of Proyecto Libertad and Rosemary Martinez of Farmworkers Border Agricultural Center/Proyecto de Mujeres Fronterizas as advisors to the finance committee of the Board.
-- What comes next are data records, not part of the article --
<<<
Entry 1:
Below is a geometry-optimized Te2Mo3WS6 structure, with properties calculated at the PBE-GGA level.

Summary:
Crystal system = trigonal
Final energy = -7.03 eV per atom
Energy above the lowest structure with this stoichiometry = 0.2 kJ per mole of atoms
Symmetry = P3m1
ΔE_f = -86.6 kJ per mole of atoms

Cell: 3.2728 3.2728 37.2617 Å, 90.00 90.00 120.00°
Closest atoms and distances in Å follow each position.
Element x y z (fractional)
Te: 0.0000 0.0000 0.0000  3 Mo 2.70
Te: 0.0000 0.0000 0.1035  3 Mo 2.70
Mo: 0.0000 0.0000 0.8638  6 S 2.44
Mo: 0.6667 0.3333 0.0517  6 Te 2.70
Mo: 0.6667 0.3333 0.6760  6 S 2.44
W: 0.0000 0.0000 0.2397  6 S 2.44
S: 0.0000 0.0000 0.6347  3 Mo 2.44
S: 0.0000 0.0000 0.7173  3 Mo 2.44
S: 0.6667 0.3333 0.1983  3 W 2.44
S: 0.6667 0.3333 0.2812  3 W 2.44
S: 0.6667 0.3333 0.8226  3 Mo 2.44
S: 0.6667 0.3333 0.9051  3 Mo 2.44

Entry 2:
Below is a geometry-optimized CsUGaP2O10 structure, with properties calculated at the PBE-GGA level.

Summary:
Crystal system = triclinic
Final energy = -7.52 eV per atom
Symmetry = P-1
ΔE_f = -284.0 kJ per mole of atoms

Cell: 7.9423 8.6454 9.0960 Å, 66.21 70.08 83.58°
Closest atoms and distances in Å follow each position.
Element x y z (fractional)
Cs: 0.1672 0.1959 0.4842  6 O 3.12-3.43
Cs: 0.8328 0.8041 0.5158  6 O 3.12-3.43
U: 0.2850 0.5785 0.6661  2 O 1.82
U: 0.7150 0.4215 0.3339  2 O 1.82
Ga: 0.2546 0.9219 0.0121  4 O 1.83-1.86
Ga: 0.7454 0.0781 0.9879  4 O 1.83-1.86
P: 0.0270 0.2361 0.0563  4 O 1.53-1.57
P: 0.4573 0.8252 0.2839  4 O 1.53-1.56
P: 0.5427 0.1748 0.7161  4 O 1.53-1.56
P: 0.9730 0.7639 0.9437  4 O 1.53-1.57
O: 0.0562 0.7275 0.7817  1 P 1.54
O: 0.0977 0.0517 0.1158  1 P 1.57
O: 0.1175 0.7557 0.0275  1 P 1.56
O: 0.1326 0.5079 0.5937  1 U 1.82
O: 0.1799 0.3635 0.9268  1 P 1.53
O: 0.2998 0.8543 0.4240  1 P 1.53
O: 0.3875 0.0410 0.7875  1 P 1.56
O: 0.4084 0.8231 0.1337  1 P 1.55
O: 0.4451 0.6540 0.7266  1 U 1.82
O: 0.4757 0.3521 0.6239  1 P 1.56
O: 0.5243 0.6479 0.3761  1 P 1.56
O: 0.5549 0.3460 0.2734  1 U 1.82
O: 0.5916 0.1769 0.8663  1 P 1.55
O: 0.6125 0.9590 0.2125  1 P 1.56
O: 0.7002 0.1457 0.5760  1 P 1.53
O: 0.8201 0.6365 0.0732  1 P 1.53
O: 0.8674 0.4921 0.4063  1 U 1.82
O: 0.8825 0.2443 0.9725  1 P 1.56
O: 0.9023 0.9483 0.8842  1 P 1.57
O: 0.9438 0.2725 0.2183  1 P 1.54

Entry 3:
Below is a geometry-optimized KFeH24C14N8 structure, with properties calculated at the PBE-GGA level.

Summary:
Crystal system = tetragonal
Final energy = -6.02 eV per atom
Symmetry = I4/m
ΔE_f = -9.7 kJ per mole of atoms

Cell: 9.1825 9.1825 9.1825 Å, 119.01 119.01 91.73°
Closest atoms and distances in Å follow each position.
Element x y z (fractional)
K: 0.0000 0.0000 0.0000  6 N 3.28-3.53, 8 H 3.61
Fe: 0.5000 0.5000 0.0000  6 C 1.93-1.94
H: 0.0186 0.4168 0.7035  1 C 1.09
H: 0.0812 0.8932 0.4420  1 C 1.09
H: 0.1068 0.5487 0.1879  1 C 1.09
H: 0.1270 0.7937 0.6526  1 C 1.09
H: 0.1411 0.4744 0.3474  1 C 1.09
H: 0.2063 0.8589 0.3333  1 C 1.09
H: 0.2867 0.6849 0.7035  1 C 1.09
>>>
“With our priorities established and our BNHR is ready to move forward to achieve transformative change for our communities in the border region and beyond. We are excited to have Susie Byrd and Pastor Brady, longtime allies of BNHR, join Josh Bernstein on the Board of Directors and provide diverse perspectives that will make our work even more inclusive and impactful in the years to come,” said Fernando García, Executive Director of BNHR.
Among 2021 priorities established by BNHR’s membership during the 5-hour long assembly are the demilitarization of the southern border; passage of inclusive federal immigration reform; the creation of an independent El Paso Police Department accountability commission; mutual aid COVID-19 relief fund for border families; conditional driver’s permits in Texas (with the Reform Immigration for Texas Alliance – RITA); repealing SB4; alternative enforcement strategies in Texas; the development of a community ID program, and more. Watch the full recording of the public portion of the BNHR Annual Membership Assembly here.